Olga Ivanovna is scheduled for radiation therapy in Kiev
Updated news January 23rd, 2016 Olga Ivanovna is doing fine and coping well with radiation therapy!
January 14th, 2016 Olga Ivanovna has started with radiation therapy!
January 11th, Olga Ivanovna has arrived in Kiev and is awaiting radiation therapy.
In the beginning of 2016 Olga Ivanovna will continue cancer treatment.
### Materials data, kept here for reference
Computed, not measured: a relaxed structure of CoReAgF2 at the PBE+U level of DFT.

Theoretical density = 7.55 g cm⁻³
D(E_F) = 5.0 states/eV/cell
E_tot = -4.542 eV/atom
Calculated volume = 86.0 Å³ per cell

Unit cell a=3.9507 b=5.5088 c=3.9507 alpha=90.00 beta=90.00 gamma=90.00
Element x y z (fractional)
Re: 0.0000 0.0000 0.0000
Co: 0.5000 0.5000 0.5000
Ag: 0.0000 0.5000 0.0000
F: 0.0000 0.0000 0.5000
F: 0.5000 0.0000 0.0000

~~~~~

Density functional theory data (GGA+U) for CsFeNiF6 after structural relaxation.

The structure in POSCAR format:
```
CsFeNiF6
1.0
5.375 0.003 0.000
2.691 4.659 0.000
-0.007 -0.015 6.530
Cs Fe Ni F
1 1 1 6
direct
0.000 0.000 0.000
0.334 0.333 0.500
0.666 0.667 0.500
0.010 0.378 0.331
0.379 0.011 0.670
0.611 0.380 0.670
0.010 0.612 0.669
0.380 0.610 0.330
0.611 0.009 0.330
```

Its crystal system is monoclinic. The space group is C2, No. 5. The excess energy over the best structure of this formula in the dataset is 0.0000 eV/atom. The density of states at the Fermi level comes out at 0.00 states/eV/cell.

~~~~~

# 1
PaTlInSe4 | PBE | optimized geometry

Cell: 9.852 8.400 8.616 Å, 120.86 90.00 125.91°
Element x y z (fractional)
Se (0.759, 0.518, 0.308)
Se (0.343, 0.051, 0.776)
Se (0.292, 0.949, 0.224)
Se (0.241, 0.482, 0.692)
Se (0.657, 0.949, 0.224)
Se (0.708, 0.051, 0.776)
Se (0.241, 0.482, 0.289)
Se (0.759, 0.518, 0.711)
In (0.000, 0.500, 0.500)
In (0.500, 0.500, 0.500)
Pa (0.500, 0.000, 0.500)
Pa (0.500, 0.000, 0.000)
Tl (0.072, 0.145, 0.822)
Tl (0.928, 0.855, 0.178)

Computed properties:
VASP energy, eV per atom: -4.914
DOS(E_F), states/eV/atom: 0.19
ΔE_f (raw), eV per atom: -0.837

# 2
PrNdSi2Pd5 | PBE | optimized geometry

Cell: 4.269 4.269 9.067 Å, 90.00 90.00 90.00°
Element x y z (fractional)
Si (0.500, 0.500, 0.867)
Si (0.500, 0.500, 0.133)
Pd (0.000, 0.500, 0.266)
Pd (0.500, 0.000, 0.734)
Pd (0.000, 0.500, 0.734)
Pd (0.500, 0.000, 0.266)
Pd (0.500, 0.500, 0.500)
Nd (0.000, 0.000, 0.000)
Pr (0.000, 0.000, 0.500)

Computed properties:
VASP energy, eV per atom: -6.024
DOS(E_F), states/eV/atom: 0.30
ΔE_f (raw), eV per atom: -0.874

# 3
Pu2NbIr | PBE | optimized geometry

Cell: 5.003 3.989 3.989 Å, 90.00 90.00 90.00°
Site moments in Bohr magnetons follow the coordinates.
Element x y z (fractional)
Nb (0.500, 0.500, 0.500)  -0.15
Pu (0.000, 0.000, 0.500)  5.26
Pu (0.000, 0.500, 0.000)  5.26
Ir (0.500, 0.000, 0.000)  0.08

Computed properties:
E above lowest polymorph, eV/atom: 0.000
Calculated formation energy, eV per atom: 0.042
VASP energy, eV per atom: -11.856
DOS(E_F), states/eV/atom: 2.37

# 4
PIrPb2 | PBE | optimized geometry

Cell: 6.347 6.347 7.461 Å, 64.83 64.83 90.00°
Element x y z (fractional)
Pb (0.875, 0.884, 0.750)
Pb (0.116, 0.625, 0.250)
Pb (0.375, 0.366, 0.750)
Pb (0.634, 0.125, 0.250)
P (0.500, 0.500, 0.000)
P (0.250, 0.750, 0.500)
Ir (0.000, 0.000, 0.000)
Ir (0.750, 0.250, 0.500)

Computed properties:
Calculated formation energy, eV per atom: 0.572
VASP energy, eV per atom: -4.849
Radiation therapy is the next step. Radiotherapy is synergistic with chemotherapy and is applied after chemotherapy to kill any remaining and potentially affected draining lymph nodes.

Today, on January 10th Olga Ivanovna will be leaving for Kiev to have radiotherapy treatment. The treatment itself will take place at oncological center in Kiev while Ivanovna Olga will be staying at a nearby health resort. There Olga Ivanovna will be getting the full set of rehabilitation treatments such as massages, lymphatic drainage, swimming and aqua gymnastic and physiotherapy. This will help her to regain strength after operation, chemotherapy and radiotherapy. This phase of treatment will last approximately 25 days. Then at the end of February Olga Ivanovna will have to go to Kiev for her first check up. Depending on the results of all undertaken treatments and measures her doctors will decide about next steps.
Due to your help and donations we have enough money to ensure Olga’s stay in Kiev in January. Thank you so much! We do appreciate!
Update January 14th, 2016
Olga Ivanovna started radiation therapy course and got two sessions already. She feels ok after the radiation therapy, in any case much better than after chemo therapy. Though she already has burns on the skin but otherwise she feels ok.
Update January 23rd, 2016
Olga Ivanovna is doing ok, radiation is not to compare with chemo. She has skin burns in underarm area but otherwise she feels more or less ok.
Olga Ivanovna is also very happy with her physio therapy rehabilitation lessons. Unfortunately she had gotten only 10 free lessons. She needs to take more physio therapy rehabilitation lessens and she will have to pay for each!
[The article is interrupted by records of crystals]
GGA-PBE YSiI2N, optimized geometry; energy above the lowest structure with this stoichiometry = 0.000 eV/atom; formation energy (no corrections) = -14.6 meV/atom
1.0
5.941 0.000 0.000
0.000 5.941 0.000
0.000 0.000 3.477
Y Si I N
1 1 2 1
Direct
0.000 0.000 0.000 Y
0.500 0.500 0.500 Si
0.000 0.500 0.500 I
0.500 0.000 0.500 I
0.500 0.500 0.000 N

GGA-PBE Ta2NiW, optimized geometry; energy of formation = 0.08 eV per atom
1.0
2.740 0.000 0.000
0.000 4.584 0.000
-0.819 0.000 5.122
Ta Ni W
2 1 1
Direct
0.000 0.000 0.000 Ta
0.262 0.500 0.730 Ta
0.516 0.000 0.500 Ni
0.741 0.500 0.229 W

GGA-PBE CaDy5Mg6, optimized geometry; energy of formation = -0.07 eV per atom
1.0
2.709 -8.120 0.000
2.709 8.120 0.000
0.000 0.000 7.576
Ca Dy Mg
1 5 6
Direct
0.000 0.000 0.000 Ca
0.000 0.000 0.500 Dy
0.331 0.669 0.000 Dy
0.334 0.666 0.500 Dy
0.666 0.334 0.500 Dy
0.669 0.331 0.000 Dy
0.168 0.832 0.253 Mg
0.168 0.832 0.747 Mg
0.500 0.500 0.254 Mg
0.500 0.500 0.746 Mg
0.832 0.168 0.253 Mg
0.832 0.168 0.747 Mg

GGA-PBE YH3Cl, optimized geometry; energy above the lowest structure with this stoichiometry = 0.000 eV/atom
1.0
4.141 0.000 0.000
0.000 4.141 0.000
0.000 0.000 4.141
Y H Cl
1 3 1
Direct
0.000 0.000 0.000 Y
0.000 0.000 0.500 H
0.000 0.500 0.000 H
0.500 0.000 0.000 H
0.500 0.500 0.500 Cl

GGA-PBE Ac2Zn4Ge3Ir, optimized geometry; energy of formation = -0.43 eV per atom
1.0
4.487 0.000 0.000
0.000 4.487 0.000
0.000 0.000 10.364
Ac Zn Ge Ir
2 4 3 1
Direct
0.000 0.500 0.236 Ac
0.500 0.000 0.764 Ac
0.000 0.000 0.500 Zn
0.000 0.500 0.879 Zn
0.500 0.000 0.121 Zn
0.500 0.500 0.500 Zn
0.000 0.000 0.000 Ge
0.000 0.500 0.635 Ge
0.500 0.000 0.365 Ge
0.500 0.500 0.000 Ir

GGA-PBE ZrInC3, optimized geometry; energy above the lowest structure with this stoichiometry = 0.454 eV/atom; energy of formation = 2.42 eV per atom
1.0
4.186 0.000 0.000
0.000 4.186 0.000
0.000 0.000 4.186
Zr In C
1 1 3
Direct
0.000 0.000 0.000 Zr
0.500 0.500 0.500 In
0.000 0.500 0.500 C
0.500 0.000 0.500 C
0.500 0.500 0.000 C

GGA-PBE Nd2YHo3Sb6, optimized geometry; formation energy (no corrections) = -1143.1 meV/atom
1.0
9.642 -2.214 0.000
9.642 2.214 0.000
-2.020 0.000 8.614
Nd Y Ho Sb
2 1 3 6
Direct
0.166 0.166 0.332 Nd
0.834 0.834 0.668 Nd
0.500 0.500 0.000 Y
0.168 0.168 0.834 Ho
0.500 0.500 0.500 Ho
0.832 0.832 0.166 Ho
0.003 0.003 0.750 Sb
0.333 0.333 0.924 Sb
0.335 0.335 0.411 Sb
0.665 0.665 0.589 Sb
0.667 0.667 0.076 Sb
0.997 0.997 0.250 Sb

GGA-PBE TbY2Fe, optimized geometry; energy above the lowest structure with this stoichiometry = 0.000 eV/atom; energy of formation = 0.00 eV per atom
1.0
7.067 0.000 0.000
0.000 9.243 0.000
0.000 0.000 6.310
Tb Y Fe
4 8 4
Direct
0.051 0.250 0.140 Tb
0.449 0.750 0.640 Tb
0.551 0.250 0.360 Tb
0.949 0.750 0.860 Tb
0.173 0.068 0.674 Y
0.173 0.432 0.674 Y
0.327 0.568 0.174 Y
0.327 0.932 0.174 Y
0.673 0.068 0.826 Y
0.673 0.432 0.826 Y
0.827 0.568 0.326 Y
0.827 0.932 0.326 Y
0.112 0.750 0.473 Fe
0.388 0.250 0.973 Fe
0.612 0.750 0.027 Fe
0.888 0.250 0.527 Fe
But we will still need money for further therapies like hormone therapy and regular trips to Kiev for checks up which will take place every three months. PLEASE HELP!
Donations for Olga Ivanovna:
If you would like to donate, please contact directly, so she can send you instructions on how and where to send money.
Here you can read about chemotherapy in December 2015.
Here you can read about the operation in November 2015.
And here you can read how it all began at the beginning of October 2015.